The Wild Roses
By Ray Allen, Founder,
Photographs by: Roger Phillips
The famous group of plants with Rosa as their first name is one of the largest, most-loved and most confused families in the world.
The Myths
In addition to the wild medieval tales of love and magic, the rose has many myths around it that are alive today. For example, if you're really informed about what a "wild rose" is, you're one of a tiny minority. First of all, that wonderful old pink, fluffy rose that your grandmother called "wild," wasn't. Most of the roses you see around old abandoned homesites aren't wild either. They're just tough. Since roses have been hybridized since Roman times, there are thousands of tough, long-lived hybrids that seem to grow on forever.
The True "Wild" Roses
The botanical term for wild rose is "species rose", which means just what it says — a species that occurs naturally, with no help from man — a true "wildflower." There are over 100 of these worldwide, some native to North America, many from the Orient and Europe. These true wild roses are all single with exactly five petals — never more, and almost all of them are pink, with a few whites and reds, and even fewer that range toward yellow. (By the way, there are now over 20,000 hybrids, with about 200 new ones every year.)
North American Native Roses
Two of the most widespread species roses you may see are Rosa carolina, or the Carolina Rose, common in thickets, and Rosa palustris, commonly called "Swamp Rose", since it grows in wet ground. Both are rather small, scrambling shrubs with spectacular, 2" wide-open single blooms with five bright pink petals. And both are native to a huge area from the entire Atlantic seaboard all the way west to Nebraska.
Further west, Rosa blanda is the pink-fading-to-white-flowered climbing shrub usually called "Prairie Rose". It's native from Ontario down into Texas, and west to the Rockies.
From the Rockies through the Cascades, a very hardy favorite is Rosa woodsii, or "Wood's Wild Rose". Along the upper Pacific coast from Alaska down into California, a famous wild rose is Rosa nutkana, known as "The Nootka Rose." And of course, there is a Rosa californica, native west of the Sierra Nevada. All these westerners are pink. There are others, and every region has it's favorite.
Most all North American native roses look a lot like the large photo above, pink with exactly five petals. Most of the native rose plants are smallish shrubs, with canes no longer than three or four feet.
The Most Misused Common Names of All
If your Aunt Sarah, who knew her plants, told you that wild rose at the farm was a "Pasture Rose", that's fine, but don't expect anyone else to know what that means. Pasture Rose, Prairie Rose, Wild Rose, Dog Rose, Eglantine, Sweetbriar, and Scotch Briar are just a few of the very common names for wild roses that mean different things in different places. (Probably ten different species are called "Pasture Rose" in various parts of the country.)
Imported Wild Roses
More commonly seen are two wild roses that are used extensively in landscaping in North America.
Rugosa Rose
R. rugosa
## Someone pasted calculated molecules at this point
........
(1)
# C48H36N6RuS

C48H36N6RuS as an isolated structure (ωB97M-V/def2-TZVPD, the OMol25 dataset).

Values from the calculation:
HOMO-LUMO gap (alpha / beta)   4.7 / 5.2 eV
Calculated total energy   -2672.17485 Eh
Total charge   +1
LUMO (alpha / beta)   -3.6 / -4.7 eV
HOMO level (alpha / beta)   -8.329 / -9.922 eV
Multiplicity   6

Last column: Mulliken spin population.
Element x y z (Å)
Ru  -0.35  -0.92  0.96  2.719
C  1.74  5.63  -1.29  0.190
C  0.41  5.40  -0.96  -0.090
C  0.06  4.31  -0.18  0.161
C  1.05  3.42  0.31  0.071
C  2.39  3.67  -0.06  0.158
C  2.73  4.76  -0.83  -0.090
C  0.68  2.27  1.05  0.082
C  -0.73  2.01  1.42  0.264
C  -1.59  2.85  2.14  0.056
C  -2.77  2.15  2.31  0.116
C  -2.63  0.90  1.68  0.054
C  -3.61  -0.06  1.41  -0.029
C  -5.00  0.15  1.86  0.008
C  -5.71  -0.91  2.44  0.018
C  -7.02  -0.75  2.86  -0.005
C  -7.65  0.47  2.72  0.012
C  -6.97  1.53  2.14  -0.006
C  -5.66  1.37  1.71  0.022
C  -3.34  -1.24  0.68  0.191
N  -2.10  -1.80  0.48  -0.057
C  -2.25  -2.90  -0.33  -0.057
C  -1.21  -3.75  -0.74  0.091
C  -1.53  -4.86  -1.68  0.098
C  -1.08  -4.80  -3.00  0.037
C  -1.40  -5.80  -3.90  -0.004
C  -2.17  -6.88  -3.49  0.010
C  -2.62  -6.95  -2.18  -0.006
C  -2.30  -5.94  -1.28  0.036
C  0.14  -3.61  -0.33  -0.068
C  1.20  -4.50  -0.61  0.181
C  2.31  -4.05  0.09  -0.061
C  1.93  -2.87  0.76  0.245
N  0.60  -2.61  0.49  -0.160
C  2.78  -2.07  1.59  -0.060
C  2.55  -0.73  1.82  0.043
C  3.39  0.23  2.46  0.060
C  2.86  1.47  2.23  0.052
C  1.65  1.27  1.49  0.218
N  1.46  -0.04  1.28  0.043
C  3.95  -2.75  2.19  0.001
C  3.77  -3.97  2.84  0.012
C  4.85  -4.64  3.39  0.000
C  6.13  -4.11  3.28  0.004
C  6.32  -2.90  2.63  -0.002
C  5.24  -2.22  2.09  0.012
C  -3.63  -3.02  -0.66  0.143
C  -4.30  -2.02  -0.02  -0.055
N  -1.32  0.82  1.18  -0.001
H  2.01  6.49  -1.90  0.011
H  -0.36  6.06  -1.34  -0.002
H  -0.98  4.13  0.05  0.019
H  3.17  2.99  0.27  0.019
H  3.76  4.94  -1.09  -0.002
H  -1.35  3.85  2.48  0.005
H  -3.63  2.49  2.87  0.005
H  -5.21  -1.86  2.58  0.005
H  -7.55  -1.59  3.29  0.000
H  -8.68  0.60  3.04  0.001
H  -7.46  2.49  2.00  0.000
H  -5.17  2.18  1.19  -0.004
H  -0.48  -3.95  -3.31  0.000
H  -1.05  -5.73  -4.92  0.000
H  -2.44  -7.66  -4.19  0.001
H  -3.21  -7.80  -1.85  0.000
H  -2.65  -6.00  -0.25  0.002
H  1.13  -5.38  -1.23  0.013
H  3.30  -4.47  0.09  -0.003
H  4.28  0.01  3.03  0.000
H  3.23  2.42  2.56  0.005
H  2.77  -4.38  2.93  -0.002
H  4.69  -5.59  3.89  0.000
H  6.98  -4.65  3.70  0.000
H  7.32  -2.49  2.53  0.000
H  5.41  -1.31  1.54  -0.001
H  -4.04  -3.78  -1.32  0.015
H  -5.36  -1.80  -0.08  -0.001
S  -0.30  -1.09  3.66  0.259
C  -1.48  -2.23  4.17  -0.049
N  -2.08  -3.07  3.32  0.011
C  -2.99  -4.14  3.73  0.001
C  -2.67  -4.54  5.16  0.001
C  -2.71  -3.30  6.03  0.002
N  -1.78  -2.31  5.47  0.020
H  -1.85  -2.96  2.35  0.016
H  -2.87  -4.97  3.04  -0.001
H  -4.03  -3.79  3.67  0.000
H  -1.66  -4.98  5.19  0.000
H  -3.37  -5.29  5.52  0.000
H  -2.40  -3.53  7.05  0.000
........
This is the tough, thorny shrub with the deeply-veined dark green leaves. If they're in flower (heavily in June), you'll see both red and white types, and in late summer, the famous rugosa apple-shaped hips are quite showy. These beautiful shrubs are so tough, they're grown everywhere from fancy rose gardens to grocery store parking lots. The rugosas are native to the Far East, and neither salt spray nor bitter cold hurts them a bit. In fact they will grow almost anywhere with sun, from northern Canada to our southern beaches.
Multiflora Rose
R. multiflora
This is the rangy, small-leaved shrub with sprays of one-inch white single roses in June. This rose is native to Japan and Korea, but has been used extensively in the U.S. as a "living fence." It wasn't such a great fence, since in our mid-Atlantic states it has become an invasive pest. It's also very prevalent along the Maine coast — beautiful in bloom, but a real problem to contain.
~~~
No. 1
Density functional theory data (ωB97M-V/def2-TZVPD) for an isolated molecule of C3H3NO.

Values from the calculation:
SMILES string: C#C/C=N/O
Energy relative to the best compared isomer or geometry (same formula, charge and spin) (eV): 3.732
Spin multiplicity: 1
Total energy (eV): -6692.7596
LUMO (eV): 0.84
Molecular weight (g/mol): 69.06
Gap between HOMO and LUMO (eV): 10.48

XYZ file:
```
8
Properties=species:S:1:pos:R:3:lowdin_charge:R:1
C -2.32 -0.19 -0.01 0.101
C -1.19 0.08 0.00 -0.164
C 0.14 0.50 -0.05 -0.194
N 1.00 -0.43 0.00 -0.012
O 2.36 0.00 -0.06 -0.108
H -3.33 -0.70 -0.12 0.076
H 0.39 1.60 0.10 0.146
H 2.94 -0.85 0.14 0.156
```


No. 2
Density functional theory data (ωB97M-V/def2-TZVPD) for a cluster of 2 separate species, C3H3NO in total.

Values from the calculation:
Energy relative to the best compared isomer or geometry (same formula, charge and spin) (eV): 9.566
Spin multiplicity: 1
Total energy (eV): -6686.9263
LUMO (spin up / spin down) (eV): -0.76 / -0.89
Molecular weight (g/mol): 69.06
Gap between HOMO and LUMO (spin up / spin down) (eV): 8.09 / 8.07

XYZ file:
```
8
Properties=species:S:1:pos:R:3:lowdin_charge:R:1
O 0.44 -1.71 0.07 -0.294
C 1.05 -0.62 0.42 0.039
C -0.46 1.80 -0.01 0.077
C -0.68 0.61 0.06 -0.083
N -0.66 -2.22 -0.09 0.129
H 1.72 -0.34 -0.41 0.066
H -0.21 2.84 -0.05 0.036
H -1.20 -0.36 0.01 0.031
```


No. 3
Density functional theory data (ωB97M-V/def2-TZVPD) for an isolated molecule of C3H3NO.

Values from the calculation:
SMILES string: c1cocn1
Energy relative to the best compared isomer or geometry (same formula, charge and spin) (eV): 0.083
Spin multiplicity: 1
Total energy (eV): -6696.4093
LUMO (eV): 1.06
Molecular weight (g/mol): 69.06
Gap between HOMO and LUMO (eV): 10.66

XYZ file:
```
8
Properties=species:S:1:pos:R:3:lowdin_charge:R:1
C 0.61 0.79 0.17 -0.143
C 0.35 -0.31 0.89 -0.110
O -0.59 -1.04 0.23 0.020
C -0.85 -0.30 -0.87 -0.209
N -0.20 0.81 -0.95 0.085
H 1.43 1.48 0.31 0.106
H 0.76 -0.68 1.82 0.118
H -1.52 -0.75 -1.60 0.132
```


No. 4
Density functional theory data (ωB97M-V/def2-TZVPD) for an isolated molecule of C3H3NO.

Values from the calculation:
SMILES string: [O-][NH+]=c1cc1
Energy relative to the best compared isomer or geometry (same formula, charge and spin) (eV): 5.001
Spin multiplicity: 1
Total energy (eV): -6691.4905
LUMO (spin up / spin down) (eV): 0.72 / 0.72
Molecular weight (g/mol): 69.06
Gap between HOMO and LUMO (spin up / spin down) (eV): 8.07 / 8.07

XYZ file:
```
8
Properties=species:S:1:pos:R:3:lowdin_charge:R:1
O 2.29 0.24 0.02 -0.160
N 1.32 -0.56 0.01 -0.164
C 0.12 -0.14 0.09 -0.213
C -1.29 -0.23 -0.04 0.089
C -0.74 0.97 -0.04 0.097
H 1.43 -1.51 -0.09 0.133
H -2.19 -0.80 -0.03 0.099
H -0.94 2.04 0.08 0.119
```


No. 5
Density functional theory data (ωB97M-V/def2-TZVPD) for a structure of composition C3H3NO.

Values from the calculation:
Energy relative to the best compared isomer or geometry (same formula, charge and spin) (eV): 1.862
Spin multiplicity: 1
~~~
The Romance of the Wild Rose
Of course, roses are probably the No. 1 symbol of love in human history. We've even had a War of the Roses, not to mention centuries of rose perfumes, oils, medicines, and foods. Today in the US, the "wild rose" competes with the violet as our most popular state flower; both are the symbols of several states. And even though the fantastic new roses offer you almost anything you may desire in color or fragrance, many people think there is no purer beauty than the true wild rose.
After all, Emily Bronte wrote, "Love is like the wild rose." And Robert Burns did not write his most famous love poem about some gaudy, man-made, orange and pink creation, but stated clearly and simply, "My love is like a red, red rose." (Read the famous Robert Burns poem below). But it was surely Gertrude Stein who summed it up best, with her her classic line about the rose's incomparable beauty: A rose is a rose is a rose." She did not write "A rose is a rose is a bi-colored hybrid."
What's Available for Wildgardeners Today: The Miraculous "Nearly Wild" Roses.
There are some species roses available from specialist nurseries, but by and large, gardeners who love the look of a wild rose are using some "newer" plants that have all the good qualities of the originals, but all kinds of wonderful new qualities, too.
First of all, most species roses bloom for only about two weeks each year. That's great if you happen to be there, but if you miss it, you'll have to wait a whole year for more. That's why many of the new "landscape" or "shrub" roses combine the convenient size of the species shrubs with the wonders of repeat blooming. A lot of this has been done by crossings with the fabulous rugosa rose species from the Far East. It has the incomparable combination of large flowers, tremendous toughness even in the coldest temperatures, and best of all, repeat blooming all season long. No other species rose has all these qualities.
So today, "shrub roses" like Carefree Beauty, Carefree Delight, Chuckles, and the one actually named "Nearly Wild" (photo at right) all offer the loveliness and low-maintenance of wild roses with the added qualities of incredible cold hardiness plus the magic of repeat bloom. Other popular "carefree" roses includs the famous "Bonica" and more recently, the "Knock Out" series. They are some of the most carefree roses available, but they don't have the classic 5-petaled "wild rose" bloom.
To the purist, none of these are true "wildflowers", but for most wildgardeners, they're a miracle. And in any wildflower meadow, they easily hold center stage whenever they're in bloom.
My Love is Like a Red, Red Rose
by Robert Burns (1759 – 1796)
O my Luve's like a red, red rose
That's newly sprung in June:
O my Luve's like the melodie
That's sweetly play'd in tune!
As fair art thou, my bonnie lass,
So deep in luve am I:
And I will luve thee still, my dear,
Till a' the seas gang dry:
Till a' the seas gang dry, my dear,
And the rocks melt wi' the sun;
I will luve thee still, my dear,
While the sands o' life shall run.
And fare thee weel, my only Luve,
And fare thee weel a while!
And I will come again, my Luve,
Tho' it were ten thousand mile.
About These Famous Photos by Roger Phillips
The millions of gardeners who own his best-selling books will immediately know that the photos on this page (other than the one of "Nearly Wild") are by Roger Phillips, the famous UK-based flower photographer. With his partner, writer Martyn Rix, Mr. Phillips has revolutionized the way flowering plants are photographed with his breathtaking silhouetting technique. From roses all the way through their quite comprehensive volumes on perennials, the Phillips/Rix books are uniquely useful to visually communicate the beauty, and particularly the intricate detail of flowers, buds, stems and leaves. These Phillips photos are used with permission from RogersRoses.